Mark Krikorian : Trojan Horse A Lame House Border-Security Bill is Designed to be a Vehicle for Amnesty.

Believing that they won the recent shutdown fight, President Obama and the Democrats think they have momentum to browbeat the House into passing some version of the Schumer-Rubio amnesty that was approved by the Senate in June.

Representative Paul Ryan has been actively working to help the president achieve his chief goal for the second term. Many conservatives fear that Speaker Boehner and the rest of the House GOP leadership share Ryan’s desire to pass a bill that would legalize the present 11 million–plus illegal aliens and double future legal immigration.

But the unpopularity of the comprehensive, 1,200-page Schumer-Rubio bill has forced even pro-amnesty Republicans to reject the idea of bringing it up for a vote in the House. Instead, the House will vote on smaller, targeted measures, addressing one issue at a time.

The concern of amnesty skeptics (and the hope of amnesty pushers) is that the House will take one of the targeted bills into conference with the Senate; the negotiated result might be a tweaked version of the Schumer-Rubio bill, which would need only a handful of Republican votes, added to all the Democrats, to pass.

Jay Z’s American Fascism: David Goldman

One should not conclude that Obama favors criminal violence, but rather that the popular response to Jay Z’s evocation of felonious rage is so great that Obama finds it convenient to exploit it. Ich kann gar nicht so viel fressen, wie ich kotzen moechte: I can’t eat enough to puke as much as I […]

IRAQ TIPS TOWARD THE ABYSS: BRET STEPHENS Fifty-four Iraqis were killed and another 70 injured Sunday when two suicide bombers blew themselves up in a Baghdad cafe. But you probably didn’t catch the news. The tree falls in the forest, the country collapses in the desert, and the question remains the same: Does either of them make a sound if nobody […]

1800 OBAMACARE- DENIAL ‘More than a website” is the latest defense of the Affordable Care Act’s painful rollout, and liberals are partly right. ObamaCare has larger ambitions than the basket case called and the 36 federally run insurance exchanges. But building the website was supposed to be the easy part. The health law’s fiasco of a […]

How a Terror Attack Against Our Marines — 30 Years Ago This Week — Reverberated Down the Decades: Warren Kozak….see note please

This was one of the most shameful episodes of the Reagan administration. Furthermore, it was subsequently learned that the wounded were to be air-lifted to Israel’s highly advanced and state of the arts trauma hospitals, but Weinberger nixed that and the wounded had to endure a three hour flight to Ramstein Air Force Base in Germany, prolonging their pain and suffering and possibly altering their prognosis….rsk

When suicide bombers strike, the shadowy men who dispatch their charges then step back to gauge the response. Thirty years ago Wednesday, after one of the costliest acts of terror ever committed against America, Washington sent out the worst possible message to terrorists around the world. They were watching and listening.

Early on Sunday morning, October 23, 1983, when our Marines were still asleep in their cots at the Beirut International Airport, a truck driven by an Iranian, Ismail Ascari, and filled with explosives crashed into their barracks. The blast was so huge that witnesses said the four-story building actually lifted into the air before it came crashing down.

The blast killed 220 Marines, more than any day since Iwo Jima — 18 sailors, three soldiers and six civilians. Almost simultaneously, a second suicide truck bomber blew up a nine story building on the other side of the airport killing 58 French paratroopers.

The Americans and French were in Beirut as part of an international peacekeeping force sent to quell the violence from the Lebanese Civil War. Once a beautiful and tranquil country, Lebanon descended into a living hell after the P.L.O. arrived, having been kicked out of Jordan by King Hussein in 1970. This tipped the fragile balance between Arab Christians and Muslims. Soon they were fighting each other as well as the Israelis, who entered in 1982 to stop PLO terror raids.


“Which brings us to the point about the Tea Party. It — or “they,” in that it’s not really a party — may have lost the latest engagement in the battle of the budget and the debt. But in our view they have opened up an inspiring vista. We’ve been beating this drum for a while. The heroes of the Tea Party these days are not the kind of troublemakers and yahoos of the kind the Left lampoons on the right.On the contrary, the feature of the Tea Party heroes is that they are exceptionally well-educated. Senator Cruz is a graduate of Princeton and Harvard Law School. He clerked for the Chief Justice of the United States. Senator Lee, the son of a solicitor general of America, was a star at Brigham Young University and clerked on the Third Circuit for a future Supreme Court Justice, Samuel Alito. Rand Paul is a physician who learned economics at the knee of his father, who goes home at night and reads the principles of political economy that guided the Founders.”

Editorial of The New York Sun | October 21, 2013

In respect of the power struggle inside the Republican Party, on which side is the Sun? Is it on the side of Senator Cruz or on the side of Senator McCain? Is it on the side of Karl Rove or on the side of Sarah Palin? Is it on the side of Governor Christie or of Senator Paul? We wouldn’t want to suggest that there are great throngs hanging on this question. But for the record, in the rift that is rending the Republican Party, the Sun is on the side of George Washington.

We speak of him as the personification of the constitutional founders. Few of our political loyalties are personal. Our base is the Constitution, at the drafting of which Washington presided. The more we study it, the more we savor the great cases that have been brought down from the high court, the more it seems that this is the ground on which to stand. In the political posturing, constitutional principles are what for what we look, references to it are for what we listen.

Constitutional thinking can be detected but rarely in the Democratic Party palaver. The Democrats are carrying on their crusade with scant reference to or reverence for the Constitution. When they do reference it, they too often do so in a glancing way, a point we marked when, in the midst of the budget crisis, President Obama blandly asserted that of “all the responsibilities the Constitution endows to Congress” there are two that “should be fairly simple.” They are “pass a budget, and pay America’s bills.”

World Council of Churches Stands By As Christians Perish, Churches Wither by Malcolm Lowe Who needs the WCC any more? Would the world, let alone Middle East Christians, be better off without it? The World Council of Churches (WCC) in Geneva claims to represent and serve 345 churches worldwide. What has it done to help the persecuted churches in Iraq, Syria and Egypt? Or the flood of Syrian […]


The following comments are a historical footnote to Robert Nicholson’s splendid essay, “Evangelicals and Israel.” Addressing himself to American Jews, he rebukes them for being distrustful of the millions of evangelical Christians who have been staunch supporters of the Jewish state and the Jewish people. But he also rebukes the growing minority of evangelicals who have recently withdrawn that support and are now actively hostile to Israel and Jews.

Two years ago, I was provoked to write The People of the Book: Philosemitism in England from Cromwell to Churchill, in a similarly critical mode, reproaching the present-day English (not English Jews) for betraying their own evangelical tradition, which was so respectful of the Jewish religion and people and so enthusiastic in favor of a Jewish state, and for succumbing to an anti-Israel fervor very nearly indistinguishable from anti-Semitism.

Evangelicalism was at its height in England in the early 19th century, with Lord Ashley (later the Seventh Earl of Shaftesbury) its most prominent and vigorous champion. “An Evangelical of the Evangelicals,” he described himself. It was evangelicalism that prompted both his zeal as a social reformer (of factories, education, and child-labor practices) and as a “missionary,” as he saw it, to and from the Jews. “Who will be the Cyrus of Modern Times,” he inquired in his diary in 1826, “the second Chosen to restore the God’s people?” (Cyrus, king of ancient Persia, permitted the exiled Jews to return from Babylonia to the land of Israel.)

Ashley was all of twenty-five and a newly elected member of Parliament when he took upon himself that role. A decade later, he helped organize the London Society for Promoting Christianity Amongst the Jews (the Jews’ Society, as it was known), one of whose aims, and soon its principal aim, was “encouraging the physical restoration of the Jewish people to Eretz Israel—the Land of Israel.” Two years later, he persuaded Lord Palmerston, then the foreign secretary, to appoint a British vice-consul to Jerusalem. “What a wonderful event it is!” he exulted. “The ancient city of the people of God is about to resume a place among the nations.”

JED BABBIN: ZOMBIE REPUBLICANS Needed: A light bulb strategy to pour light into our caves. Staggering, without direction, not quite dead and in search of brains, the Republican Party is giving a really good performance as the Zombie Party. According to the media’s current narrative, it has to rid itself of the Tea Party’s influence or die. That […]


Here is a vow. I will not give a plug nickel to any candidate that wants to “reach across the aisle and work with democrats.” That is a frequent mantra of the legislators that want to put their hands in my wallet. Why would anyone want to reach out to those who have slandered and libeled Republicans with accusations of racism, metaphorical “rape”, indifference or hostility to the poor, women, trees, animals and the whole planet?

I want legislators who adhere to true conservative/liberal policies on social, economic and defense issues, not clones of Dick Durbin such as John McCain, and not mindless parrots who spread the lies of climate change which hamper business and economy while doing nothing for humanity or our planet.

And here is a reminder to the weak and dispirited Republicans. Forget Karl Rove. Remember this. The path to the presidency of Ronald Reagan was paved by Senator Barry Morris Goldwater- a man whom I disliked for his overt hostility to Israel. Nonetheless Goldwater, an early incarnation of the Tea Party rejected the legacy of the New Deal and inspired a conservative revolt.He emphasized states’ rights and opposed interference by the federal government in state affairs. While Goldwater was called extreme and alien, his voting records prove otherwise . He lost big to Lyndon Johnson in 1964 and dragged a few Republicans down with his loss. In 1971 he fought to stop funding of the United Nations. He said…”I suggested on the floor of the Senate today that we stop all funds for the United Nations. Now, what that’ll do to the United Nations, I don’t know. I have a hunch it would cause them to fold up, which would make me very happy at this particular point. I think if this happens, they can well move their headquarters to Peking or Moscow and get ’em out of this country.”

Records of molecules from another source follow
~~~
1.
Below is 12 unconnected molecules or ions with the total composition C36H78N6O12 at a distorted geometry, with properties calculated with wB97M-V/def2-TZVPD.

XYZ file:
```
132
C36H78N6O12 | the OMol25 dataset | wB97M-V/def2-TZVPD
C -7.261 2.295 -9.314
N -6.078 2.583 -8.655
C -5.902 2.337 -7.369
C -4.477 2.596 -6.866
O -6.822 2.188 -6.629
H -7.717 3.179 -9.758
H -7.992 1.781 -8.689
H -7.002 1.706 -10.194
H -5.279 2.349 -9.226
H -4.390 2.394 -5.799
H -4.091 3.575 -7.149
H -3.764 1.948 -7.376
C 5.786 1.755 9.530
N 4.764 1.255 8.690
C 3.701 0.546 9.051
C 2.849 0.067 7.953
O 3.438 0.329 10.295
H 5.324 1.814 10.515
H 6.185 2.734 9.264
H 6.517 0.959 9.671
H 4.978 1.464 7.725
H 3.277 -0.887 7.647
H 2.696 0.660 7.051
H 1.854 -0.123 8.354
C 7.776 2.841 1.519
N 8.681 1.666 1.553
C 8.242 0.550 2.105
C 9.297 -0.579 2.132
O 7.091 0.344 2.505
H 7.890 3.414 0.598
H 8.005 3.684 2.172
H 6.732 2.681 1.787
H 9.465 1.678 0.916
H 9.131 -1.314 2.919
H 10.250 -0.147 2.436
H 9.326 -1.049 1.149
C -4.540 -7.023 -1.581
N -5.324 -6.242 -2.479
C -5.827 -6.674 -3.599
C -6.714 -5.648 -4.270
O -5.816 -7.854 -4.023
H -3.724 -7.553 -2.072
H -5.284 -7.648 -1.086
H -4.152 -6.440 -0.745
H -5.447 -5.264 -2.262
H -7.664 -5.733 -3.742
H -6.785 -5.713 -5.356
H -6.398 -4.622 -4.081
C -0.167 5.677 7.460
N -0.037 5.725 8.893
C 0.921 6.508 9.444
C 1.271 6.102 10.868
O 1.640 7.412 8.925
H -1.058 6.203 7.115
H -0.263 4.634 7.157
H 0.622 6.309 7.052
H -0.369 4.911 9.390
H 1.422 5.025 10.946
H 0.506 6.323 11.612
H 2.223 6.600 11.049
C -8.113 -3.520 3.408
N -7.848 -2.392 2.591
C -8.562 -2.080 1.517
C -8.073 -0.823 0.807
O -9.584 -2.679 1.190
H -8.370 -3.243 4.431
H -7.168 -4.059 3.474
H -8.856 -4.236 3.054
H -7.017 -1.906 2.896
H -7.414 -0.253 1.461
H -8.825 -0.156 0.386
H -7.332 -1.114 0.062
C 0.857 -1.326 0.376
C -0.282 -0.337 0.211
C 0.086 1.190 -0.055
O -1.445 -0.673 0.379
H 0.353 -2.181 -0.074
H 1.295 -1.436 1.368
H 1.601 -1.078 -0.381
H 0.415 1.550 0.920
H -0.775 1.704 -0.481
H 0.883 1.280 -0.793
C -1.381 -9.041 5.548
C -0.499 -7.927 4.942
C -0.158 -6.723 5.829
O -0.117 -8.068 3.813
H -2.422 -8.726 5.624
H -0.931 -9.225 6.524
H -1.277 -9.954 4.962
H 0.768 -6.305 5.433
H 0.046 -6.984 6.867
H -1.026 -6.082 5.676
C 3.665 4.801 -8.048
C 3.160 5.135 -6.651
C 4.123 4.844 -5.539
O 2.103 5.730 -6.533
H 3.487 3.782 -8.393
H 4.712 5.071 -8.193
H 2.959 5.334 -8.685
H 3.766 5.199 -4.572
H 5.051 5.302 -5.882
H 4.310 3.772 -5.615
C 1.438 -3.794 -8.214
C 0.914 -3.954 -6.806
C 1.034 -5.352 -6.146
O 0.282 -3.003 -6.314
H 2.408 -4.289 -8.263
H 1.561 -2.725 -8.389
H 0.859 -4.172 -9.056
H 1.526 -5.395 -5.174
H 1.566 -6.052 -6.791
H 0.030 -5.772 -6.089
C -5.359 6.015 -1.222
C -4.834 6.530 0.078
C -4.131 7.835 0.026
O -5.003 5.814 1.032
H -5.326 4.936 -1.075
H -4.674 6.316 -2.015
H -6.403 6.311 -1.321
H -3.448 7.972 -0.812
H -3.640 8.023 0.981
H -4.887 8.616 -0.051
C 8.651 -0.493 -4.541
C 7.496 -1.394 -4.877
C 7.206 -2.419 -3.797
O 6.870 -1.343 -5.919
H 8.713 0.187 -5.390
H 9.559 -1.096 -4.524
~~~

He lost big to Lyndon Johnson in 1964 and took quite a few Republicans down in the process. However, he enrgized the conservative movement which culminated with the election of Ronald Reagan.